Now set down the lines below without altering anything.
+++
The following is a PBE calculation of a geometry-optimized PmBi2Ru structure, from Alexandria.

Output
The calculation puts the total moment at 0.0 μB per formula unit. As for the offset from the most stable computed form: 181.7 meV per atom.

Cell: 4.787 4.787 4.316 Å, 90.00 90.00 90.00°
Space group P4/mmm (No. 123)
Inequivalent atoms, fractional coordinates:
Pm (0.000, 0.000, 0.000) x1
Bi (0.000, 0.500, 0.500) x2
Ru (0.500, 0.500, 0.000) x1


The following is a PBE calculation of a geometry-optimized PmBiRu2 structure, from Alexandria.

Output
The calculation puts the total moment at 0.0 μB per formula unit. The total energy is -6.815 eV per atom.

Cell: 4.693 4.693 3.581 Å, 90.00 90.00 90.00°
Space group P4/mmm (No. 123)
Inequivalent atoms, fractional coordinates:
Pm (0.000, 0.000, 0.000) x1
Bi (0.500, 0.500, 0.000) x1
Ru (0.000, 0.500, 0.500) x2


# SiAg2Pb2

A geometry-optimized SiAg2Pb2 structure (GGA-PBE, Alexandria via LeMat-Bulk).

Cell lengths 7.3172, 7.3172, 7.3172 Å; angles 144.60, 144.60, 50.93 degrees
Positions (direct):
Si1 0.0000 0.0000 0.0000
Ag1 0.4013 0.4013 0.0000
Ag2 0.5987 0.5987 0.0000
Pb1 0.2500 0.7500 0.5000
Pb2 0.7500 0.2500 0.5000

Output
As for the energy relative to the elements, uncorrected: 0.62 eV/atom. As for the density of states at the Fermi level: 3.07 states/eV/f.u. As for the energy above the most stable polymorph in this dataset: 0.364 eV per atom.
+++
The following is a PBE calculation of a geometry-optimized PmBi2Ru structure, from Alexandria.

Output
The calculation puts the total moment at 0.0 μB per formula unit. As for the offset from the most stable computed form: 181.7 meV per atom.

Cell: 4.787 4.787 4.316 Å, 90.00 90.00 90.00°
Space group P4/mmm (No. 123)
Inequivalent atoms, fractional coordinates:
Pm (0.000, 0.000, 0.000) x1
Bi (0.000, 0.500, 0.500) x2
Ru (0.500, 0.500, 0.000) x1


The following is a PBE calculation of a geometry-optimized PmBiRu2 structure, from Alexandria.

Output
The calculation puts the total moment at 0.0 μB per formula unit. The total energy is -6.815 eV per atom.

Cell: 4.693 4.693 3.581 Å, 90.00 90.00 90.00°
Space group P4/mmm (No. 123)
Inequivalent atoms, fractional coordinates:
Pm (0.000, 0.000, 0.000) x1
Bi (0.500, 0.500, 0.000) x1
Ru (0.000, 0.500, 0.500) x2


# SiAg2Pb2

A geometry-optimized SiAg2Pb2 structure (GGA-PBE, Alexandria via LeMat-Bulk).

Cell lengths 7.3172, 7.3172, 7.3172 Å; angles 144.60, 144.60, 50.93 degrees
Positions (direct):
Si1 0.0000 0.0000 0.0000
Ag1 0.4013 0.4013 0.0000
Ag2 0.5987 0.5987 0.0000
Pb1 0.2500 0.7500 0.5000
Pb2 0.7500 0.2500 0.5000

Output
As for the energy relative to the elements, uncorrected: 0.62 eV/atom. As for the density of states at the Fermi level: 3.07 states/eV/f.u. As for the energy above the most stable polymorph in this dataset: 0.364 eV per atom.